My dream episode 14 & 15

❤️❤️❤️My DREAM ❤️❤️❤️
Written by Bukola 💖💖💖💖💖💖💖
❤️❤️❤️ Chapter 14❤️❤️❤️
❣️❣️❣️Authoresses ❣️❣️❣️❣️
Prech was un-der a tree after receiving lectures, she sat un-der no the tree with her friend Susan. They were re-ading together and gisting. They were interrupted by the pres£nce of the RED DRAGONS girls. They were two in number and they c@m£ disguised, they were wearing a blue t©p and Jean trou-ser with a blue face cap.” Prech we want to see you” they said
Prech look at them somehow, she don’t know them. She looked at Susan would gave her a go ahead
” Ok you can go on” she said
” Sorry plea-se only prech
We nee-d to see you
It’s urgent” they said
Prech stand up and followed them to a bit distance place from Susan.” Okay what do you want to see me for?” She asked
They show her their logo and also show her their gun.
Prech was frightened and she began to shiver and also act like all is well
” What do you want?”she asked with a trembling voice
They smiled”simple take this and give Feyisara to drink
” Why??” She asked
They sh0t her a glare
” Nvm”she replied and wave to them. She walk up to Susan , pick up her bag and started leaving for her hostel.” What did they say??” Susan asked
She ignore her” see you in the hostel” she waved and left
She took a cab to her hostel, inside the cab various thought ran throu-gh her, should I kill her??
If I don’t kill her, I will be killed
What is this substance function??
Wait even though this stupid girl is my enemy , I don’t want to kill her. I don’t even Know the content of this substance and it’s effect. But I don’t want to die either
She will rather die than I should die
I arrived at my hostel and fell on my be-d
I soon felt a sharp pain in my stomach, I ignored it at first but the pain bec@m£ severe as I started vomiting blood. I managed to come out of my room and seek for help.
My hostel mates rush to me and they got a cab to take me to the hospital
” Doctor what happen??”Susan asked
” Who are you to her???” He asked talking to Feyisara and Susan who sat on the chair opposite the doctor
” We are her friends you can talk to us” Susan replied
” Alright her kidneys has been damaged and she nee-ds a urgent kidney transplant now. Her parents nee-ds to be here
Importantly, she nee-ds a donor now”
Feyisara and Susan glance at each other
” Who will donate kidney for prech”
” Operation successful” the doctor announced and both Feyisara and Prech was wheeled out of the operation room. They were placed on oxygen taking them to the ward
Few days later, Feyisara was Hale and hearty but Prech wasn’t well but she has regained consciousness
She saw Feyisara and Susan smiling and sitting beside her
” How come I am alive” she asked
“All thanks to Feyisara who donated kidney for you” Susan said smiling
Prech broke into tears. Feyisara and Susan thought it was tears of joy but it was in regret of her mistakes
” Feyisara am sorry, I have offended you”she said
Feyisara let out a smile” no you didn’t”
” I was jealous of you, envy of your relationsh!pwith Adebayo. The way he do buy things for you, treat you like a queen and so on. I was harbouring anger towards you but I didn’t do anything until Raymond started maltreating you. Then I thought this is a perfect chance make you live your life in pain and anguish. Raymond isn’t who you think he is…” She explain furthermore and Feyisara was bewildered.
Feyisara and Susan tried to protect Prech from the RED DRAGONS but it didn’t work and Feyisara wasn’t safe either.
Prech was killed because she failed in the as-signment given to her. Feyisara decided to leave school until the situation is calm but she wants to reconcile with Adebayo before leaving. She invited Adebayo to a p@rticular sp©t in the school.
She waited for him and Adebayo arrived
” Am sorry for keeping you waiting”
He wore a sunglas-ses looking around like a detective then he eventually sat down
” Humm am sorry” they both said at the same time
” You go first
” No you go first”
They were still arguing when the sound of gunsh0t was heard
____________
1.
# C5H8O

C5H8O in the gas phase at a distorted geometry (ωB97M-V with the def2-TZVPD basis set, the Open Molecules 2025 dataset).

Calculated values
- orbital gap (eV) = 10.22
- SMILES string = C#CCCCO
- highest occupied orbital energy (Ha) = -0.3428

Cartesian coordinates (Å):
C1 -1.897 0.683 0.252
C2 -1.147 1.613 -0.024
C3 0.302 1.511 0.288
C4 0.380 -0.015 0.640
C5 0.591 -0.874 -0.635
O1 0.162 -2.195 -0.363
H1 -2.550 -0.148 0.169
H2 0.554 2.133 1.149
H3 0.946 1.826 -0.542
H4 1.127 -0.329 1.359
H5 -0.590 -0.122 1.233
H6 0.071 -0.461 -1.517
H7 1.670 -0.871 -0.889
H8 0.382 -2.751 -1.120

In elementary charge units, the natural (NBO) charges are: -0.2062, -0.0525, -0.4659, -0.3918, -0.0626, -0.7227, 0.2340, 0.2336, 0.2262, 0.2023, 0.2162, 0.1622, 0.1583, 0.4691

***

2.
# C5H8O

A molecular structure, C5H8O (ωB97M-V with the def2-TZVPD basis set, the Open Molecules 2025 dataset).

Calculated values
- orbital gap (eV) = 10.07
- highest occupied orbital energy (Ha) = -0.3273

Cartesian coordinates (Å):
C1 -1.859 0.724 -0.073
C2 -2.472 -0.363 0.383
C3 1.749 0.612 -0.482
C4 1.467 -0.860 -0.639
O1 1.519 -0.976 0.820
C5 1.760 0.380 0.831
H1 -1.816 0.954 -1.135
H2 -1.373 1.430 0.595
H3 -2.516 -0.590 1.445
H4 -2.960 -1.069 -0.285
H5 0.470 -1.141 -0.989
H6 2.241 -1.477 -1.104
H7 1.885 0.917 1.765
H8 1.905 1.456 -1.133

In elementary charge units, the natural (NBO) charges are: -0.3882, -0.3896, -0.3649, -0.0819, -0.4996, 0.1396, 0.1914, 0.1959, 0.1952, 0.1918, 0.1997, 0.1924, 0.1951, 0.2233

***

3.
# C5H8O

A molecular structure, C5H8O at a distorted geometry (ωB97M-V with the def2-TZVPD basis set, the Open Molecules 2025 dataset).

Calculated values
- orbital gap (eV) = 9.15
- highest occupied orbital energy (Ha) = -0.3002

Cartesian coordinates (Å):
C1 0.365 0.874 -1.291
C2 -0.686 0.022 -0.627
C3 -0.395 -1.095 0.383
C4 0.668 -0.637 1.336
O1 0.029 0.582 1.609
C5 -1.088 0.185 0.790
H1 1.194 1.076 -0.609
H2 -0.061 1.832 -1.593
H3 0.763 0.374 -2.178
H4 -1.525 -0.259 -1.264
H5 -0.798 -2.095 0.267
H6 1.875 -0.407 0.472
H7 1.741 -0.819 1.518
H8 -2.083 0.368 1.186

In elementary charge units, the natural (NBO) charges are: -0.6204, -0.2364, -0.3048, -0.0380, -0.5066, 0.0883, 0.2261, 0.2177, 0.2131, 0.2227, 0.2324, 0.0343, 0.2629, 0.2087

***

4.
# C5H8O

C5H8O in the gas phase (ωB97M-V with the def2-TZVPD basis set, the Open Molecules 2025 dataset).

Calculated values
- orbital gap (eV) = 10.70
- SMILES string = C[C@]12CC[C@H]1O2
- highest occupied orbital energy (Ha) = -0.3523

Cartesian coordinates (Å):
C1 -1.833 0.544 0.191
C2 -0.449 0.067 -0.118
C3 0.497 -0.687 0.822
C4 1.668 -0.370 -0.150
C5 0.690 0.504 -0.943
O1 -0.261 -0.428 -1.447
H1 -1.896 1.052 1.158
H2 -2.490 -0.334 0.228
H3 -2.205 1.203 -0.597
H4 0.618 -0.122 1.755
H5 0.264 -1.731 1.049
H6 2.533 0.114 0.306
H7 1.990 -1.226 -0.749
H8 0.876 1.416 -1.504
____________
Feyisara bec@m£ frightened.
Adebayo took the gun for her, he was hvgging her
As she was about lamenting, Adebayo managed to shout at her” go ran away Feyisara”he said
Her eyes couldn’t bear it, she hesistated for a while and she started running until she was able to hide in a safe place.

❤️❤️❤️ My DREAM ❤️❤️❤️
❤️❤️❤️ Chapter 15❤️❤️❤️
❣️❣️❣️❣️Authoresses ❣️❣️❣️
Adebayo was taken to the hospital by good Samaritans after the incident. The police c@m£ to the scene to Know what was going on, doing their investigation.
Adebayo was discharged few days later after the bullet has been re-moved. Feyisara was in her final year when the incident took place, her mum was informed and pleaded on Feyisara and Adebayo behalf that they can write their exams somewhere safe.
They agreed and with proper monitoring, she wrote her exams with Adebayo and defend their projects.
She went for her youth service. She was posted to Lagos while Adebayo was posted to Ibadan. They visit each other regularly and she was very happy although Adebayo didn’t confess his love for her.
Feyisara p.o.v
I was on call with Adebayo smiling In the living room sitting opposite mum who was watching the t.v
” Hello how are you?” He asked
” Am fine and you?” I asked happliy
” Am good have you eaten?” I asked
” Well am drinking garri and groundnuts”I said
” Garri? Oh my God why now give the phone to mum
Why are you drinking Garri?”I said
” Feyisara garri doesn’t means suffering
It’s just an appetizer” he said
“Appetizer!!! Humm okay o ” I said
“I miss you” he said
My heart beats at the sound of the word I miss you
” I miss you too” I replied
” Humm” mum sigh
” Who is that?” She asked
” It’s Adebayo” I whispers
She chuckled” let me talk to him? She said
” Hello Adebayo oko mi” she said
I grin at her look like am jealous
She is fond of calling Adebayo that
She talked to Adebayo for like five minutes
I wonder what they are talking about
They finished talking and she hand the phone to me and I rounded off my conversation with Adebayo
” Do you have a b©yfri£nd?” She asked
” No?”I asked
“Feyisara” she faced me with all seriousness and I wonder what she wants to say
” I have found a suitor for you” she threw the bombshell and I was surprised
” Arranged marriage in this 21st century”
” my child, time waits for no one
You just have to get married
What do you want again? You have graduated, you have a good job what else do you want dear. I nee-d my grandchildren very soon” she said
” Mum I won’t get married” I half yelled
” Then be re-ady to receive my death letter tomorrow!
What have I done for you not to listen to me
When you receive my death call tomorrow then you will un-derstand” she said going to her room
I ran to mum with emotions” mum I can’t lose you
I will get married” I replied
She hvg me ti-ghtly” thank you”she said and I heaved a sigh
I requested to see Adebayo in the night as he has been so busy these days with his new job.
Between two parts of the entry: records of molecules.
~~~
Record 1
Formula: C19H29BFN2O7
Source: the Open Molecules 2025 dataset
Level of theory: ωB97M-V/def2-TZVPD

Last column: Mulliken charge in e.
Cartesian coordinates (Å):
C (2.27, -0.91, 4.18)  -1.0947
C (1.08, -1.08, 3.13)  -0.2863
B (1.56, -0.99, 1.59)  0.3952
O (2.70, -1.65, 1.13)  -0.6199
N (0.73, -0.12, 0.66)  0.2526
C (0.92, 1.25, 0.80)  0.9141
C (1.95, 1.87, 1.81)  -1.3906
C (3.42, 1.80, 1.21)  -0.4434
O (3.33, 2.12, -0.20)  -0.2167
C (4.43, 1.61, -0.91)  0.4944
C (4.39, 0.20, -1.63)  -0.6484
O (5.44, 2.26, -1.03)  -0.4969
C (0.15, 2.21, -0.01)  -1.0077
C (-0.81, 1.70, -0.99)  1.1299
C (-1.64, 2.69, -1.84)  -0.1847
O (-1.14, 3.60, -2.46)  -0.4314
O (-3.02, 2.55, -1.91)  -0.2962
C (-3.72, 3.54, -1.13)  -0.3181
C (-4.63, 2.88, -0.03)  0.5686
O (-4.51, 3.01, 1.14)  -0.4274
F (-5.69, 2.11, -0.49)  -0.2325
C (-0.93, 0.22, -1.11)  0.5449
C (-1.93, -0.29, -2.20)  -1.0850
C (-1.29, -0.03, -3.65)  -0.5685
O (-2.28, 0.36, -4.60)  -0.5342
C (-0.14, -0.69, -0.25)  0.5760
C (-0.37, -2.21, -0.43)  -1.4536
C (-1.79, -2.68, 0.17)  -0.6397
C (-1.71, -4.02, 0.99)  -0.4030
N (-3.12, -4.41, 1.33)  -0.6550
H (3.27, -0.70, 3.72)  0.2729
H (2.02, -0.04, 4.85)  0.3320
H (2.29, -1.83, 4.82)  0.3319
H (0.57, -2.06, 3.32)  0.3448
H (0.31, -0.27, 3.31)  0.3159
H (2.76, -2.54, 1.53)  0.3180
H (1.72, 2.97, 1.89)  0.4859
H (1.88, 1.47, 2.85)  0.1820
H (4.06, 2.61, 1.66)  0.4108
H (3.92, 0.81, 1.39)  0.3723
H (4.76, -0.56, -0.90)  0.1784
H (5.10, 0.22, -2.49)  0.3509
H (3.36, -0.02, -2.01)  0.1804
H (0.31, 3.30, 0.16)  0.4884
H (-4.43, 4.07, -1.83)  0.3184
H (-3.01, 4.30, -0.71)  0.3284
H (-2.13, -1.39, -2.15)  0.0100
H (-2.93, 0.22, -2.11)  0.4444
H (-0.44, 0.68, -3.54)  0.3915
H (-0.87, -1.03, -3.98)  0.3560
H (-1.87, 0.69, -5.42)  0.3368
H (-0.48, -2.37, -1.55)  0.5329
H (0.47, -2.87, -0.11)  0.4544
H (-2.49, -2.88, -0.70)  0.3828
H (-2.29, -1.84, 0.75)  0.3932
H (-1.33, -4.84, 0.31)  0.3210
H (-1.09, -3.89, 1.91)  0.1735
H (-3.74, -3.78, 0.81)  0.2756
H (-3.33, -5.33, 0.93)  0.2748

The HOMO energy is -12.14 eV. As for the orbital gap: 7.63 eV. The calculation puts the LUMO energy at -0.1657 Ha. The SMILES is CCB(O)[n+]1c(CCOC(C)=O)cc(C(=O)OCC(=O)F)c(CCO)c1CCCN. As for the charge: +1.

Record 2
Formula: C19H29BN9OPb
Source: the Open Molecules 2025 dataset
Level of theory: ωB97M-V/def2-TZVPD

Last column: Mulliken charge in e.
Cartesian coordinates (Å):
Pb (-1.70, -0.07, -0.44)  1.3304
B (-1.65, -3.04, 2.12)  -0.3110
N (-1.88, -1.70, 2.63)  -0.2423
C (-2.08, -1.46, 3.99)  -0.2948
C (-2.23, -0.13, 4.18)  -0.9106
C (-2.14, 0.42, 2.87)  -0.0257
N (-1.94, -0.53, 1.96)  0.3153
N (-1.35, -3.35, 0.73)  0.3131
C (-1.04, -4.65, 0.33)  -0.3362
C (-0.83, -4.64, -1.01)  -0.7231
C (-1.05, -3.29, -1.39)  -0.2208
N (-1.36, -2.53, -0.34)  -0.1581
H (-0.90, -3.66, 2.88)  0.2504
H (-2.54, -3.81, 2.53)  0.2742
H (-2.08, -2.26, 4.72)  0.4975
H (-2.38, 0.40, 5.11)  0.4869
H (-2.23, 1.45, 2.58)  0.6984
H (-0.97, -5.47, 1.03)  0.4881
H (-0.58, -5.47, -1.65)  0.4727
~~~
He has changed and become more handsome than before .
He now has a cute teddy bears on his chin that make him handsome.
He still makes out time for me despite his busy schedule
” I want to tell you something”
” I want to tell you something too”he said
” You go first” I said
” You go first” he said
We argued and it finally land on him to speak first
We bur-st into laughter because that has always been the trend since childhood. He clears his throat and I wonder what he wants to say
” Actually I have been given admission for my masters program abroad and I am leaving tomorrow” he dropped the bombshell and I was disappointed.
It was like spear pierced my heart. Tears was gathering up in my face but I am not going to let it out
” What do you want to say?” He asked
I tried to let out a smile” I am happy for you. We have to celebr@te it” I said
” Of course , we would” he said
I got into his car and I sat in the front beside him.
He took the driver seat while I took the madam seat
This wasn’t what I expected
Although my dream was still getting married but I thought it will be achieved throu-gh Adebayo whom I thought love me
I thought he would declare his love for me, I am so stupid to believe Adebayo loves me.
The next day, I got the shock of my life after esc-rting Adebayo to the airport.
I arrived home and saw Raymond seating on the couch smiling
” Raymond ” I called
Mum let out a smile” Feyisara take your seat I un-derstand you guys know each other but he is your husband” mum said and I grasps
It was like I was seating on a cold fire
Heat from nowhere almost choked me up and I was sweating although I managed to suppress everything because of mum.
Later I found out that he lied to mum that we are in a relationsh!pand he takes good care of me but I broke his hear and st©p d@t!nghim. He was happy for me thinking I am in a new relationsh!p
When he found out am not in any relationsh!p, he decides to take me back. This was the lie he told mum
Stupid liar
I pretended to be happy because of mum happiness and the relationsh!pcontinued.
Although he apologized to me for all he has done but my heart wasn’t with him . I am in love with Adebayo